(Entries)
____________
A plane-wave DFT calculation with PBE was carried out for La2Al2Bi after structural relaxation.

Values from the calculation:
The space-group type is P4/mbm (127). The energy above the most stable polymorph in this dataset comes out at 0.000 eV/atom. The calculated formation energy is -496 meV per atom.

a = 7.817 Å, b = 7.817 Å, c = 4.659 Å
α = 90.00°, β = 90.00°, γ = 90.00°
Fractional coordinates of all 10 atoms:
La  0.172  0.328  0.000
La  0.328  0.828  0.000
La  0.672  0.172  0.000
La  0.828  0.672  0.000
Al  0.120  0.620  0.500
Al  0.380  0.120  0.500
Al  0.620  0.880  0.500
Al  0.880  0.380  0.500
Bi  0.000  0.000  0.500
Bi  0.500  0.500  0.500

----------

<A>
Below is a geometry-optimized LaScB2 structure, with properties calculated at the PBE-GGA level.

a b c (Å): 8.096 8.096 8.096
angles (deg): 145.59 145.59 49.46
Positions (direct):
La 0.000 0.000 0.000
La 0.750 0.250 0.500
Sc 0.250 0.750 0.500
Sc 0.500 0.500 0.000
B 0.226 0.625 0.101
B 0.375 0.476 0.601
B 0.524 0.125 0.899
B 0.875 0.774 0.399

<B>
Below is a geometry-optimized LaScB2 structure, with properties calculated at the PBE-GGA level.

a b c (Å): 4.554 4.554 4.554
angles (deg): 60.00 60.00 60.00
Positions (direct):
La 0.000 0.000 0.000
Sc 0.500 0.500 0.500
B 0.250 0.250 0.250
B 0.750 0.750 0.750

The structure with the least stability is <A>.

----------

The following is a DFT calculation (PBE) of La2ErHf after structural relaxation.

energy of formation	199	meV per atom
distance to the lowest polymorph of the same formula	0.54	kcal/mol of atoms

Unit cell a=4.0651 b=4.0651 c=7.4396 alpha=90.00 beta=90.00 gamma=90.00
Atoms (fractional coordinates):
La (0.0000, 0.0000, 0.7722)
La (0.0000, 0.0000, 0.2278)
Hf (0.5000, 0.5000, 0.0000)
Er (0.5000, 0.5000, 0.5000)

=====

The following is a DFT calculation (PBE) of LiLa4Tc after structural relaxation.

energy of formation	848	meV per atom
distance to the lowest polymorph of the same formula	19.75	kcal/mol of atoms

Unit cell a=6.3763 b=6.3763 c=6.3763 alpha=60.00 beta=60.00 gamma=60.00
Atoms (fractional coordinates):
Li (0.7500, 0.7500, 0.7500)
La (0.8826, 0.3725, 0.3725)
La (0.3725, 0.3725, 0.8826)
La (0.3725, 0.8826, 0.3725)
La (0.3725, 0.3725, 0.3725)
Tc (0.0000, 0.0000, 0.0000)

----------

! Ag2TeRu (PBE, optimized geometry); values from VASP
&SYSTEM
  ibrav = 0, nat = 4, ntyp = 3
/
ATOMIC_SPECIES
Ag 107.87 Ag.upf
Te 127.60 Te.upf
Ru 101.07 Ru.upf
CELL_PARAMETERS angstrom
5.3514 -0.0011 0.0000
-2.5990 4.6779 0.0000
0.0000 0.0000 3.0419
ATOMIC_POSITIONS angstrom
Ag 1.3762 2.3384 0.0000
Ag 0.0000 0.0000 0.0000
Te -1.2995 2.3389 1.5210
Ru 2.6757 -0.0006 1.5210
! DOS at the Fermi energy = 3.07 states/eV per cell
! E = -16.1 eV for the cell shown
! uncorrected formation energy = 49 kJ per mole of atoms

----------

VASP calculation (GGA-PBE) on a geometry-optimized Pd5PtPb2 structure.

- total moment (μB/f.u.) = 0.000
- energy of formation from the pure elements (eV per atom) = -0.265
- N(E_F) (states/eV/f.u.) = 2.1

```
data_Pd5PtPb2
_chemical_formula_sum 'Pd10 Pt2 Pb4'
_cell_length_a 5.8061
_cell_length_b 11.6163
_cell_length_c 4.1254
_cell_angle_alpha 90.00
_cell_angle_beta 90.00
_cell_angle_gamma 90.00
_space_group_name_H-M_alt 'P b a m'
_space_group_IT_number 55
loop_
_space_group_symop_operation_xyz
'x,y,z'
'-x,-y,-z'
'-x,-y,z'
'x,y,-z'
'x+1/2,-y+1/2,-z'
'-x+1/2,y+1/2,z'
'-x+1/2,y+1/2,-z'
'x+1/2,-y+1/2,z'
loop_
_atom_site_label
_atom_site_fract_x
_atom_site_fract_y
_atom_site_fract_z
Pd1 0.0000 0.0000 0.0000
Pd2 0.0011 0.2514 0.0000
Pd3 0.2486 0.6240 0.5000
Pt1 0.0000 0.5000 0.0000
Pb1 0.2471 0.8739 0.5000
```

***

VASP calculation (GGA-PBE) on a geometry-optimized Pd4PtPb structure.

- total moment (μB/f.u.) = 0.000
- energy of formation from the pure elements (eV per atom) = -0.088
- N(E_F) (states/eV/f.u.) = 5.6
- polymorph energy (0 for the lowest one) (meV/atom) = 77

```
data_Pd4PtPb
_chemical_formula_sum 'Pd32 Pt8 Pb8'
_cell_length_a 5.6165
_cell_length_b 9.4604
_cell_length_c 15.6327
____________
(Wanted)
Your job: quote the whole of the material further up with every line break kept.
(Result)
A plane-wave DFT calculation with PBE was carried out for La2Al2Bi after structural relaxation.

Values from the calculation:
The space-group type is P4/mbm (127). The energy above the most stable polymorph in this dataset comes out at 0.000 eV/atom. The calculated formation energy is -496 meV per atom.

a = 7.817 Å, b = 7.817 Å, c = 4.659 Å
α = 90.00°, β = 90.00°, γ = 90.00°
Fractional coordinates of all 10 atoms:
La  0.172  0.328  0.000
La  0.328  0.828  0.000
La  0.672  0.172  0.000
La  0.828  0.672  0.000
Al  0.120  0.620  0.500
Al  0.380  0.120  0.500
Al  0.620  0.880  0.500
Al  0.880  0.380  0.500
Bi  0.000  0.000  0.500
Bi  0.500  0.500  0.500

----------

<A>
Below is a geometry-optimized LaScB2 structure, with properties calculated at the PBE-GGA level.

a b c (Å): 8.096 8.096 8.096
angles (deg): 145.59 145.59 49.46
Positions (direct):
La 0.000 0.000 0.000
La 0.750 0.250 0.500
Sc 0.250 0.750 0.500
Sc 0.500 0.500 0.000
B 0.226 0.625 0.101
B 0.375 0.476 0.601
B 0.524 0.125 0.899
B 0.875 0.774 0.399

<B>
Below is a geometry-optimized LaScB2 structure, with properties calculated at the PBE-GGA level.

a b c (Å): 4.554 4.554 4.554
angles (deg): 60.00 60.00 60.00
Positions (direct):
La 0.000 0.000 0.000
Sc 0.500 0.500 0.500
B 0.250 0.250 0.250
B 0.750 0.750 0.750

The structure with the least stability is <A>.

----------

The following is a DFT calculation (PBE) of La2ErHf after structural relaxation.

energy of formation	199	meV per atom
distance to the lowest polymorph of the same formula	0.54	kcal/mol of atoms

Unit cell a=4.0651 b=4.0651 c=7.4396 alpha=90.00 beta=90.00 gamma=90.00
Atoms (fractional coordinates):
La (0.0000, 0.0000, 0.7722)
La (0.0000, 0.0000, 0.2278)
Hf (0.5000, 0.5000, 0.0000)
Er (0.5000, 0.5000, 0.5000)

=====

The following is a DFT calculation (PBE) of LiLa4Tc after structural relaxation.

energy of formation	848	meV per atom
distance to the lowest polymorph of the same formula	19.75	kcal/mol of atoms

Unit cell a=6.3763 b=6.3763 c=6.3763 alpha=60.00 beta=60.00 gamma=60.00
Atoms (fractional coordinates):
Li (0.7500, 0.7500, 0.7500)
La (0.8826, 0.3725, 0.3725)
La (0.3725, 0.3725, 0.8826)
La (0.3725, 0.8826, 0.3725)
La (0.3725, 0.3725, 0.3725)
Tc (0.0000, 0.0000, 0.0000)

----------

! Ag2TeRu (PBE, optimized geometry); values from VASP
&SYSTEM
  ibrav = 0, nat = 4, ntyp = 3
/
ATOMIC_SPECIES
Ag 107.87 Ag.upf
Te 127.60 Te.upf
Ru 101.07 Ru.upf
CELL_PARAMETERS angstrom
5.3514 -0.0011 0.0000
-2.5990 4.6779 0.0000
0.0000 0.0000 3.0419
ATOMIC_POSITIONS angstrom
Ag 1.3762 2.3384 0.0000
Ag 0.0000 0.0000 0.0000
Te -1.2995 2.3389 1.5210
Ru 2.6757 -0.0006 1.5210
! DOS at the Fermi energy = 3.07 states/eV per cell
! E = -16.1 eV for the cell shown
! uncorrected formation energy = 49 kJ per mole of atoms

----------

VASP calculation (GGA-PBE) on a geometry-optimized Pd5PtPb2 structure.

- total moment (μB/f.u.) = 0.000
- energy of formation from the pure elements (eV per atom) = -0.265
- N(E_F) (states/eV/f.u.) = 2.1

```
data_Pd5PtPb2
_chemical_formula_sum 'Pd10 Pt2 Pb4'
_cell_length_a 5.8061
_cell_length_b 11.6163
_cell_length_c 4.1254
_cell_angle_alpha 90.00
_cell_angle_beta 90.00
_cell_angle_gamma 90.00
_space_group_name_H-M_alt 'P b a m'
_space_group_IT_number 55
loop_
_space_group_symop_operation_xyz
'x,y,z'
'-x,-y,-z'
'-x,-y,z'
'x,y,-z'
'x+1/2,-y+1/2,-z'
'-x+1/2,y+1/2,z'
'-x+1/2,y+1/2,-z'
'x+1/2,-y+1/2,z'
loop_
_atom_site_label
_atom_site_fract_x
_atom_site_fract_y
_atom_site_fract_z
Pd1 0.0000 0.0000 0.0000
Pd2 0.0011 0.2514 0.0000
Pd3 0.2486 0.6240 0.5000
Pt1 0.0000 0.5000 0.0000
Pb1 0.2471 0.8739 0.5000
```

***

VASP calculation (GGA-PBE) on a geometry-optimized Pd4PtPb structure.

- total moment (μB/f.u.) = 0.000
- energy of formation from the pure elements (eV per atom) = -0.088
- N(E_F) (states/eV/f.u.) = 5.6
- polymorph energy (0 for the lowest one) (meV/atom) = 77

```
data_Pd4PtPb
_chemical_formula_sum 'Pd32 Pt8 Pb8'
_cell_length_a 5.6165
_cell_length_b 9.4604
_cell_length_c 15.6327